_Excerpt_
/*
Record 1
DFT (PBE with a Hubbard U) results for crystalline NaCaTiMnSi2O8F at its relaxed geometry.

## Properties
Symmetry: P2_1/c (14)
ΔE_f in meV per atom: -3184

Cell lengths 7.0932, 9.8686, 10.9135 Å; angles 90.00, 107.89, 90.00 degrees
Positions (direct):
Na  0.1631  0.1210  0.0743
Na  0.1631  0.3790  0.5743
Na  0.8369  0.6210  0.4257
Na  0.8369  0.8790  0.9257
Ca  0.0253  0.6085  0.8019
Ca  0.0253  0.8915  0.3019
Ca  0.9747  0.1085  0.6981
Ca  0.9747  0.3915  0.1981
Ti  0.4784  0.1014  0.7173
Ti  0.4784  0.3986  0.2173
Ti  0.5216  0.6014  0.7827
Ti  0.5216  0.8986  0.2827
Mn  0.3642  0.6304  0.4388
Mn  0.3642  0.8696  0.9388
Mn  0.6358  0.1304  0.0612
Mn  0.6358  0.3696  0.5612
Si  0.1736  0.6666  0.1216
Si  0.1736  0.8334  0.6216
Si  0.2902  0.1650  0.3786
Si  0.2902  0.3350  0.8786
Si  0.7098  0.6650  0.1214
Si  0.7098  0.8350  0.6214
Si  0.8264  0.1666  0.3784
Si  0.8264  0.3334  0.8784
O  0.0476  0.1606  0.3574
O  0.0476  0.3394  0.8574
O  0.1516  0.7372  0.9844
O  0.1516  0.7628  0.4844
O  0.2416  0.5070  0.1316
O  0.2416  0.9930  0.6316
O  0.2952  0.2354  0.7582
O  0.2952  0.2646  0.2582
O  0.3025  0.7458  0.7478
O  0.3025  0.7542  0.2478
O  0.3386  0.0096  0.3458
O  0.3386  0.4904  0.8458
O  0.4050  0.2207  0.5216
O  0.4050  0.2793  0.0216
O  0.4598  0.5265  0.6267
O  0.4598  0.9735  0.1267
O  0.5402  0.0265  0.8733
O  0.5402  0.4735  0.3733
O  0.5950  0.7207  0.9784
O  0.5950  0.7793  0.4784
O  0.6614  0.5096  0.1542
O  0.6614  0.9904  0.6542
O  0.6975  0.2458  0.7522
O  0.6975  0.2542  0.2522
O  0.7048  0.7354  0.7418
O  0.7048  0.7646  0.2418
O  0.7584  0.0070  0.3684
O  0.7584  0.4930  0.8684
O  0.8484  0.2372  0.5156
O  0.8484  0.2628  0.0156
O  0.9524  0.6606  0.1426
O  0.9524  0.8394  0.6426
F  0.0989  0.0052  0.8875
F  0.0989  0.4948  0.3875
F  0.9011  0.5052  0.6125
F  0.9011  0.9948  0.1125

Record 2
DFT (PBE with a Hubbard U) results for crystalline Li24MnCr11O36 at its relaxed geometry.

## Properties
Symmetry: C2 (5)
ΔE_f in meV per atom: -2230

Cell lengths 8.7752, 8.7752, 9.6953 Å; angles 97.85, 97.85, 58.97 degrees
Positions (direct):
Li  0.0000  0.0000  0.0000
Li  0.0777  0.7561  0.7503
Li  0.0843  0.0820  0.7500
Li  0.0920  0.4067  0.7497
Li  0.1677  0.1653  0.4995
Li  0.2439  0.9223  0.2497
Li  0.2516  0.2484  0.2502
Li  0.2603  0.5731  0.2509
Li  0.3348  0.3318  0.0005
Li  0.4102  0.0887  0.7491
Li  0.4184  0.4157  0.7502
Li  0.4269  0.7397  0.7491
Li  0.5022  0.4978  0.5000
Li  0.5797  0.2533  0.2487
Li  0.5843  0.5816  0.2498
Li  0.5933  0.9080  0.2503
Li  0.6682  0.6652  0.9995
Li  0.7467  0.4203  0.7513
Li  0.7516  0.7484  0.7498
Li  0.7603  0.0744  0.7504
Li  0.8347  0.8323  0.5005
Li  0.9113  0.5898  0.2509
Li  0.9180  0.9157  0.2500
Li  0.9256  0.2397  0.2496
Mn  0.6693  0.3307  0.0000
Cr  0.0064  0.6589  0.0008
Cr  0.1637  0.5029  0.4999
Cr  0.1730  0.8270  0.5000
Cr  0.3291  0.6709  0.0000
Cr  0.3411  0.9936  0.9992
Cr  0.4971  0.8363  0.5001
Cr  0.5064  0.1607  0.5001
Cr  0.6669  0.0031  0.0009
Cr  0.8305  0.1695  0.5000
Cr  0.8393  0.4936  0.4999
Cr  0.9969  0.3331  0.9991
O  0.0327  0.3906  0.3862
O  0.0372  0.0333  0.3861
O  0.0609  0.6961  0.3867
O  0.1083  0.4659  0.1135
O  0.1340  0.1304  0.1141
O  0.1379  0.7709  0.1140
O  0.1989  0.5581  0.8869
O  0.2041  0.1999  0.8855
O  0.2291  0.8621  0.8860
O  0.2758  0.6336  0.6132
O  0.3002  0.2964  0.6142
O  0.3039  0.9391  0.6133
O  0.3664  0.7242  0.3868
O  0.3706  0.3668  0.3861
O  0.3947  0.0295  0.3870
O  0.4419  0.8011  0.1131
O  0.4667  0.4623  0.1137
O  0.4718  0.1048  0.1131
O  0.5341  0.8917  0.8865
O  0.5377  0.5333  0.8863
O  0.5621  0.2010  0.8889
O  0.6094  0.9673  0.6138
O  0.6332  0.6294  0.6139
O  0.6375  0.2722  0.6133
*/

_Assignment_
Return the entries above from the first line to the one with "0.9936" without additions.

_Reply_
Record 1
DFT (PBE with a Hubbard U) results for crystalline NaCaTiMnSi2O8F at its relaxed geometry.

## Properties
Symmetry: P2_1/c (14)
ΔE_f in meV per atom: -3184

Cell lengths 7.0932, 9.8686, 10.9135 Å; angles 90.00, 107.89, 90.00 degrees
Positions (direct):
Na  0.1631  0.1210  0.0743
Na  0.1631  0.3790  0.5743
Na  0.8369  0.6210  0.4257
Na  0.8369  0.8790  0.9257
Ca  0.0253  0.6085  0.8019
Ca  0.0253  0.8915  0.3019
Ca  0.9747  0.1085  0.6981
Ca  0.9747  0.3915  0.1981
Ti  0.4784  0.1014  0.7173
Ti  0.4784  0.3986  0.2173
Ti  0.5216  0.6014  0.7827
Ti  0.5216  0.8986  0.2827
Mn  0.3642  0.6304  0.4388
Mn  0.3642  0.8696  0.9388
Mn  0.6358  0.1304  0.0612
Mn  0.6358  0.3696  0.5612
Si  0.1736  0.6666  0.1216
Si  0.1736  0.8334  0.6216
Si  0.2902  0.1650  0.3786
Si  0.2902  0.3350  0.8786
Si  0.7098  0.6650  0.1214
Si  0.7098  0.8350  0.6214
Si  0.8264  0.1666  0.3784
Si  0.8264  0.3334  0.8784
O  0.0476  0.1606  0.3574
O  0.0476  0.3394  0.8574
O  0.1516  0.7372  0.9844
O  0.1516  0.7628  0.4844
O  0.2416  0.5070  0.1316
O  0.2416  0.9930  0.6316
O  0.2952  0.2354  0.7582
O  0.2952  0.2646  0.2582
O  0.3025  0.7458  0.7478
O  0.3025  0.7542  0.2478
O  0.3386  0.0096  0.3458
O  0.3386  0.4904  0.8458
O  0.4050  0.2207  0.5216
O  0.4050  0.2793  0.0216
O  0.4598  0.5265  0.6267
O  0.4598  0.9735  0.1267
O  0.5402  0.0265  0.8733
O  0.5402  0.4735  0.3733
O  0.5950  0.7207  0.9784
O  0.5950  0.7793  0.4784
O  0.6614  0.5096  0.1542
O  0.6614  0.9904  0.6542
O  0.6975  0.2458  0.7522
O  0.6975  0.2542  0.2522
O  0.7048  0.7354  0.7418
O  0.7048  0.7646  0.2418
O  0.7584  0.0070  0.3684
O  0.7584  0.4930  0.8684
O  0.8484  0.2372  0.5156
O  0.8484  0.2628  0.0156
O  0.9524  0.6606  0.1426
O  0.9524  0.8394  0.6426
F  0.0989  0.0052  0.8875
F  0.0989  0.4948  0.3875
F  0.9011  0.5052  0.6125
F  0.9011  0.9948  0.1125

Record 2
DFT (PBE with a Hubbard U) results for crystalline Li24MnCr11O36 at its relaxed geometry.

## Properties
Symmetry: C2 (5)
ΔE_f in meV per atom: -2230

Cell lengths 8.7752, 8.7752, 9.6953 Å; angles 97.85, 97.85, 58.97 degrees
Positions (direct):
Li  0.0000  0.0000  0.0000
Li  0.0777  0.7561  0.7503
Li  0.0843  0.0820  0.7500
Li  0.0920  0.4067  0.7497
Li  0.1677  0.1653  0.4995
Li  0.2439  0.9223  0.2497
Li  0.2516  0.2484  0.2502
Li  0.2603  0.5731  0.2509
Li  0.3348  0.3318  0.0005
Li  0.4102  0.0887  0.7491
Li  0.4184  0.4157  0.7502
Li  0.4269  0.7397  0.7491
Li  0.5022  0.4978  0.5000
Li  0.5797  0.2533  0.2487
Li  0.5843  0.5816  0.2498
Li  0.5933  0.9080  0.2503
Li  0.6682  0.6652  0.9995
Li  0.7467  0.4203  0.7513
Li  0.7516  0.7484  0.7498
Li  0.7603  0.0744  0.7504
Li  0.8347  0.8323  0.5005
Li  0.9113  0.5898  0.2509
Li  0.9180  0.9157  0.2500
Li  0.9256  0.2397  0.2496
Mn  0.6693  0.3307  0.0000
Cr  0.0064  0.6589  0.0008
Cr  0.1637  0.5029  0.4999
Cr  0.1730  0.8270  0.5000
Cr  0.3291  0.6709  0.0000
Cr  0.3411  0.9936  0.9992